sama—like Adi 5.188, Adi 16.37, Madhya 1.158, Madhya 2.31, Madhya 3.143, Madhya 8.18, Madhya 9.307, Madhya 11.7, Madhya 13.102, Madhya 13.107 (and more...)
sama—equally Bg 7.26, Bg 12.13-14, Bg 14.22-25, SB 4.25.22
_The piece is interrupted by calculated crystals_
<<<
Record 1
PBE PmInNi2, optimized geometry; energy of formation from the pure elements = -1.15 eV per formula unit; calculated density = 8.8 g/cm³; SG = Fm-3m (225); electronic total energy = -5.052 eV/atom; volume = 71.15 Å³ per cell
1.0
-2.129 -3.978 1.128
-0.633 -1.112 4.472
-4.272 0.089 1.836
Pm In Ni
1 1 2
Direct
0.500 0.500 0.500
0.000 0.000 0.000
0.250 0.250 0.250
0.750 0.750 0.750

---

Record 2
PBE PrInNi, optimized geometry; energy of formation from the pure elements = -0.95 eV per formula unit; calculated density = 7.5 g/cm³; SG = Amm2 (38); electronic total energy = -4.755 eV/atom; volume = 209.70 Å³ per cell
1.0
-6.472 -1.736 4.176
7.110 -0.703 3.362
-0.207 3.669 1.205
Ni Pr In
3 3 3
Direct
0.332 0.665 0.000
>>>
sama—equal to SB 5.14.5, Adi 3.79, Adi 6.45, Madhya 6.263
sama—equal. Adi 2.24, Adi 3.45, Madhya 9.267, Madhya 24.71
sama—like. Adi 6.38, Adi 7.97, Madhya 2.32, Antya 6.252
sama—of equal Adi 3.89, Antya 3.92
sama—equipoised Madhya 14.152, Madhya 14.161
sama—the Sama-veda Bg 9.17, SB 5.2.9
sama—control of the mind SB 5.9.1-2
sama—unaltered Bg 2.15
sama—equiposed Bg 6.8
sama—same SB 3.29.33
sama—symmetrical SB 4.24.51
sama—and equal SB 5.22.7
sama—equal or proper SB 6.9.37
sama—the same. Adi 4.25
sama—equal level Adi 6.53
sama—same. Antya 4.179
sama—equal to. Antya 6.134
sama—just like Antya 17.48
+++
[1]
Computed, not measured: a relaxed structure of Li3Ni4O8 at the PBE with a Hubbard U level of DFT.

```
Li3Ni4O8
1.0
-2.089 3.847 3.465
1.425 -3.353 4.349
4.104 1.583 -3.652
Li O Ni
3 8 4
Direct
0.500 0.000 0.000 Li
0.000 0.500 0.000 Li
0.500 0.000 0.500 Li
0.757 0.725 0.508 O
0.258 0.722 0.499 O
0.765 0.284 0.048 O
0.287 0.289 0.056 O
0.713 0.711 0.944 O
0.235 0.716 0.952 O
0.742 0.278 0.501 O
0.243 0.275 0.492 O
0.000 0.500 0.500 Ni
0.000 0.000 0.000 Ni
0.500 0.500 0.500 Ni
0.500 0.500 0.000 Ni
```

ΔE_f, eV per atom: -1.308
Space group: No. 2

[2]
Computed, not measured: a relaxed structure of LiNiO2 at the PBE with a Hubbard U level of DFT.

```
LiNiO2
1.0
-1.229 2.422 4.222
-4.672 0.201 -3.435
-0.244 -6.037 2.394
Ni Li O
5 5 10
Direct
0.001 0.501 0.001 Ni
0.798 0.099 0.601 Ni
0.602 0.701 0.199 Ni
0.200 0.900 0.400 Ni
0.399 0.299 0.799 Ni
0.804 0.604 0.603 Li
0.401 0.799 0.797 Li
0.596 0.196 0.197 Li
0.200 0.400 0.400 Li
0.999 0.001 0.003 Li
0.694 0.168 0.892 O
0.104 0.959 0.683 O
0.905 0.033 0.311 O
0.705 0.631 0.907 O
0.100 0.431 0.716 O
0.300 0.368 0.084 O
0.913 0.570 0.289 O
0.296 0.841 0.118 O
0.487 0.230 0.511 O
0.495 0.767 0.489 O
```

ΔE_f, eV per atom: -1.482
Space group: No. 2

[3]
Computed, not measured: a relaxed structure of LiNiO2 at the PBE with a Hubbard U level of DFT.

```
LiNiO2
1.0
2.926 5.008 0.000
-2.926 5.008 0.000
0.000 3.412 4.788
O Ni Li
8 4 4
Direct
0.234 0.234 0.257 O
0.756 0.221 0.275 O
0.779 0.244 0.725 O
0.750 0.750 0.287 O
0.766 0.766 0.743 O
0.221 0.756 0.275 O
0.244 0.779 0.725 O
0.250 0.250 0.713 O
0.500 0.000 0.500 Ni
0.000 0.000 0.500 Ni
0.000 0.500 0.500 Ni
0.000 0.000 0.000 Ni
0.500 0.000 0.000 Li
0.000 0.500 0.000 Li
0.500 0.500 0.500 Li
0.500 0.500 0.000 Li
```

ΔE_f, eV per atom: -1.487
Space group: No. 12

[4]
Computed, not measured: a relaxed structure of Li9Ni10O20 at the PBE with a Hubbard U level of DFT.

```
Li9Ni10O20
1.0
6.425 0.000 0.000
0.158 7.585 0.000
0.163 2.889 7.015
Li O Ni
9 20 10
Direct
0.307 0.690 0.191 Li
0.105 0.896 0.400 Li
0.205 0.790 0.806 Li
0.895 0.104 0.600 Li
0.795 0.210 0.194 Li
0.599 0.404 0.391 Li
0.401 0.596 0.609 Li
0.693 0.310 0.809 Li
0.000 0.000 0.000 Li
0.084 0.645 0.644 O
0.721 0.555 0.558 O
0.876 0.847 0.842 O
0.621 0.661 0.157 O
0.019 0.252 0.756 O
0.279 0.445 0.442 O
0.514 0.780 0.728 O
0.421 0.854 0.359 O
0.321 0.952 0.955 O
0.174 0.544 0.048 O
0.379 0.339 0.843 O
0.826 0.456 0.952 O
0.679 0.048 0.045 O
0.778 0.949 0.446 O
0.579 0.146 0.641 O
0.222 0.051 0.554 O
0.124 0.153 0.158 O
0.916 0.355 0.356 O
0.981 0.748 0.244 O
0.486 0.220 0.272 O
0.000 0.500 0.500 Ni
0.800 0.700 0.701 Ni
0.702 0.803 0.300 Ni
0.598 0.900 0.900 Ni
0.500 0.000 0.500 Ni
0.200 0.300 0.299 Ni
0.898 0.599 0.101 Ni
0.298 0.197 0.700 Ni
0.402 0.100 0.100 Ni
0.102 0.401 0.899 Ni
```

ΔE_f, eV per atom: -1.440
Space group: No. 2

[5]
Computed, not measured: a relaxed structure of LiNiO2 at the PBE with a Hubbard U level of DFT.

```
LiNiO2
1.0
-2.459 -1.181 -1.238
-1.031 -2.741 0.631
+++
sama—level SB 4.17.4
sama—years SB 8.12.44
sama—gentle SB 4.29.54
sama—according to the Sama Veda SB 10.7.13-15
Compound Sanskrit Words Containing: sama
sama-darsanah—equipoised SB 4.13.7, SB 4.28.37
sama-drsah—having the same ecstatic emotions Madhya 8.224, Madhya 9.123
sama-drk—equibalanced SB 1.4.4, SB 2.7.10
tara sama—equal to that Madhya 19.139, Antya 9.95
agni-sama—as hot as fire Antya 4.118
amrta-sama—just like nectar Antya 10.161
amrta-sama—exactly like nectar Antya 17.28
amrtera sama—just like nectar. Antya 6.304
amrtera sama—like nectar. Antya 13.107
apsara-sama—like an angel of heaven Antya 6.39
brahma-rudra-sama—equal to personalities like Lord Brahma and Lord Siva Madhya 25.79
brahma-samhitara sama—like the scripture Brahma-samhita Madhya 9.239-240
brahma-sama—exactly like Brahman Madhya 8.26
brahma-sama—equal to the impersonal Brahman Madhya 25.74
brhat-sama—the Brhat-sama Bg 10.35
candana-sama—like sandalwood pulp Antya 4.187
candanera sama—exactly like that of sandalwood pulp. Antya 4.198
sisyera sisya sama—equal to the disciple of the disciple. Madhya 25.72
sri-caitanya-sama—equal to Sri Caitanya Mahaprabhu Madhya 25.268
suska-kastha-sama—exactly like dry wood Adi 12.70
damodara-sama—equal to Svarupa Damodara Madhya 10.116
damodara-sama—like Damodara Antya 3.19
eka sama—one and the same. Adi 5.97
gandharva-sama—just like the Gandharvas Madhya 10.116
iksu-danda-sama—exactly like sugar cane Antya 4.238
indra-sama—like the heavenly King, Indra Antya 6.39
jagadananda-sama—like Jagadananda Pandita Antya 4.162
jala-brahma-sama—the Supreme in the form of water. Madhya 15.135
jala-tulasira sama—equal to water and tulasi Adi 3.105-106
kandarpa-sama—as beautiful as Cupid Antya 4.190
koti-surya-sama—equal to the shining of millions of suns Madhya 11.95
krsna-sama—equal to Krsna Madhya 20.315
krsna-sama—as much as Krsna Madhya 20.396
krsna-sama—like Krsna Madhya 21.121
krsna-tanu-sama—exactly like the transcendental body of Krsna Adi 5.18
kastha-pasana-sama—like wood or stone Antya 5.41
laghu, sama, arya—junior, equal or superior Adi 5.144-145
lauha-sama—like iron Madhya 2.34
mallika-puspa-sama—resembling the mallika flower. Madhya 13.106
matta-simha-sama—just like a maddened lion. Madhya 12.137
mora prana sama—not different from My life and soul Madhya 15.157
mora prana-sama—as good as My life Madhya 13.150
nija-sama—equal to Himself Madhya 21.108
pada-dhuli-sama—like a particle of dust at Your lotus feet Antya 20.34
prapancera sama—equal to the material creation. Adi 5.20
prana-sama—exactly like the life and soul. Madhya 10.117
pulinera sama—just like the bank of the Yamuna Madhya 13.25
puspa-sama—like a flower Madhya 7.72
puri-sama—like Madhavendra Puri Madhya 4.171
putra-sama—like to her own sons Madhya 9.298
purva-sama—the same as previously. Antya 3.80
radha-sama—like Srimati Radharani Madhya 18.10
sama kanti—the luster like Antya 19.41
sama-buddayah—equally disposed Bg 12.3-4
sama-buddhih—having equal intelligence Bg 6.9
sama-caturasram—of the same length on all sides SB 5.16.28
sama-silah—of the same categories SB 1.2.27
sama-citta—in one who is equipoised SB 4.20.16
sama-cittasya—who has attained the stage of being equipoised SB 7.13.9
sama-cittatvam—equilibrium Bg 13.8-12
sama-cittanam—of those who are equal to everyone SB 10.10.18
sama-cittanam—who are equally disposed toward everyone SB 10.10.41
sama-cittah—persons who see everyone in a spiritual identity SB 5.5.2
sama-cittah—equally disposed to all Madhya 22.82
sama-darsanam—equipoised in vision SB 3.32.25
sama-darsanam—equal to everyone SB 7.1.43
sama-darsanah—seeing equally. Bg 6.29
sama-darsanah—who are equal to everyone SB 9.4.66
sama-darsinah—do see with equal vision. Bg 5.18
sama-darsinah—equipoised SB 7.10.19
sama-darsinah—although sadhus are equal to everyone, to the poor and the rich, the poor man can take advantage of their association SB 10.10.17
sama-darsisu—equal to everyone. SB 6.17.34-35
sama-dharmanam—exactly like SB 4.29.54
sama-duhkha-sukhah—equal in distress and happiness (peaceful) Madhya 23.106-107
sama-drsah—of one who is equally kind to one and all SB 1.9.21
sama-drsah—equipoised SB 4.12.37
sama-drsah—and who are equal toward all SB 8.23.8
sama-drsah sabde—by the word sama-drsah Madhya 8.225
sama-drk—seeing equality SB 3.24.44
Crystal structures, as found in the file
'''
Computed, not measured: BaCaBiSbO6 after structural relaxation at the PBE level of DFT.

* E (MP2020): -6.601 eV per atom
* total moment: 0.0 μB per formula unit
* volume: 15.36 Å³/atom
* formation energy: -2.437 eV per atom
* offset from the most stable computed form: 0 meV/atom
* uncorrected energy: -247.53 eV for the cell shown

Lattice parameters (Å, degrees): 8.487 8.498 8.518 90.00 90.00 90.00
Space group P222 (No. 16)
Asymmetric unit:
Ba1 0.000 0.000 0.000 x1
Ba2 0.000 0.500 0.000 x1
Ba3 0.500 0.000 0.000 x1
Ba4 0.500 0.500 0.500 x1
Ca1 0.000 0.000 0.500 x1
Ca2 0.000 0.500 0.500 x1
Ca3 0.500 0.000 0.500 x1
Ca4 0.500 0.500 0.000 x1
Bi1 0.251 0.251 0.742 x4
Sb1 0.250 0.248 0.260 x4
O1 0.021 0.200 0.307 x4
O2 0.201 0.477 0.307 x4
O3 0.211 0.269 0.028 x4
O4 0.290 0.015 0.233 x4
O5 0.313 0.211 0.487 x4
O6 0.480 0.307 0.209 x4

----------

! LaCo5H3 | the Materials Project database | GGA-PBE | relaxed; values from VASP
&SYSTEM
  ibrav = 0, nat = 9, ntyp = 3
/
ATOMIC_SPECIES
La 138.91 La.upf
Co 58.93 Co.upf
H 1.01 H.upf
ATOMIC_POSITIONS crystal
La 0.000 0.000 0.000
Co 0.000 0.500 0.500
Co 0.339 0.000 0.622
Co 0.500 0.500 0.000
Co 0.500 0.500 0.500
Co 0.661 0.000 0.378
H 0.139 0.500 0.852
H 0.500 0.000 0.000
H 0.861 0.500 0.148
CELL_PARAMETERS angstrom
5.045 0.000 0.000
0.000 4.040 0.000
-2.494 0.000 4.601
! calculated density	7.73	g/cm³
! V	93.78	Å³ per cell
! formation enthalpy at 0 K	-0.14	eV per atom

! CoH2S4N4 | the Materials Project database | GGA-PBE | relaxed; values from VASP
&SYSTEM
  ibrav = 0, nat = 88, ntyp = 4
/
ATOMIC_SPECIES
Co 58.93 Co.upf
H 1.01 H.upf
S 32.06 S.upf
N 14.01 N.upf
ATOMIC_POSITIONS crystal
Co 0.107 0.122 0.300
Co 0.107 0.378 0.800
Co 0.374 0.635 0.580
Co 0.374 0.865 0.080
Co 0.626 0.135 0.920
Co 0.626 0.365 0.420
Co 0.893 0.622 0.200
Co 0.893 0.878 0.700
H 0.068 0.680 0.530
H 0.068 0.820 0.030
H 0.088 0.037 0.288
H 0.088 0.463 0.788
H 0.279 0.684 0.625
H 0.279 0.816 0.125
H 0.322 0.146 0.210
H 0.322 0.354 0.710
H 0.678 0.646 0.290
H 0.678 0.854 0.790
H 0.721 0.184 0.875
H 0.721 0.316 0.375
H 0.912 0.537 0.212
H 0.912 0.963 0.712
H 0.932 0.180 0.970
H 0.932 0.320 0.470
S 0.053 0.638 0.271
S 0.053 0.862 0.771
S 0.080 0.108 0.529
S 0.080 0.392 0.029
S 0.109 0.151 0.055
S 0.109 0.349 0.555
S 0.186 0.681 0.809
S 0.186 0.819 0.309
S 0.286 0.124 0.523
S 0.286 0.376 0.023
S 0.354 0.573 0.891
S 0.354 0.927 0.391
S 0.377 0.611 0.345
S 0.377 0.889 0.845
S 0.488 0.197 0.913
S 0.488 0.303 0.413
S 0.512 0.697 0.587
S 0.512 0.803 0.087
S 0.623 0.111 0.155
S 0.623 0.389 0.655
S 0.646 0.073 0.609
S 0.646 0.427 0.109
S 0.714 0.624 0.977
S 0.714 0.876 0.477
S 0.814 0.181 0.691
S 0.814 0.319 0.191
S 0.891 0.651 0.445
S 0.891 0.849 0.945
S 0.920 0.608 0.971
S 0.920 0.892 0.471
S 0.947 0.138 0.229
S 0.947 0.362 0.729
N 0.018 0.657 0.445
N 0.018 0.843 0.945
N 0.192 0.110 0.627
N 0.192 0.390 0.127
N 0.246 0.130 0.350
N 0.246 0.370 0.850
N 0.250 0.625 0.926
N 0.250 0.875 0.426
N 0.344 0.162 0.097
N 0.344 0.338 0.597
N 0.356 0.536 0.260
'''
sama-drk—equipoised SB 4.14.41
sama-drk—sees equally SB 6.17.34-35
sama-drsteh—because of being equipoised SB 9.19.15
sama-drsti—seeing everything on the same platform Antya 4.179
sama-karna—equally beautiful ears SB 4.24.45-46
sama-kala—simultaneously. Madhya 13.101
sama-kale—at the same time Adi 1.101
sama-kanti—same luster Adi 3.41
sama-matibhih—by persons who have conquered the mind SB 6.16.34
sama-rasa—equal mellows Adi 4.257
sama-sankhyatah—having the same numerical strength SB 6.14.3
sama-tula—on an equal level. Madhya 8.291
sama-vrttau—equally round SB 4.25.24
sama-priyam—and which was equally pleasing in all seasons. SB 10.13.59
suvarnera sama—like gold. Antya 4.201
surya-sama—like the sun planet Madhya 22.31
sadhu-sama-asrayah—the shelter of the good and virtuous Madhya 23.75
sama-gah—that of the Sama Veda SB 1.4.21
sama-gah—engaged as the reciter of the Sama Veda mantras. SB 9.7.22
sama-gaya—unto the udgata priest, who sings the Sama Veda SB 9.11.2
sama-rupah—the best (like the Sama among the Vedas) Madhya 25.143-144
sama-vedah—the Sama-veda Bg 10.22
sama-adibhih—sama, dama, titiksa (controlling the mind. controlling the senses, practicing tolerance) and so on SB 5.4.16
sama-adibhih—by diplomacy and other such means SB 8.21.22
taru-sama—like a tree Adi 17.27
toma sama—like you Antya 3.23
tri-sama—Trisama SB 5.19.17-18
tumi brahma-sama—you are equal with the impersonal Brahman. Madhya 25.73
tan-sama—like her Madhya 9.298
tanra sama—like him. Madhya 7.64
tanra sama—similar Vaisnavas. Madhya 7.102
tanra sama—equal to him. Antya 1.200
tara sama—like him Adi 6.55-56
udirna-sama—forming the Sama Veda. SB 3.21.34
visnu-amsa sama—representative of the Supreme Personality of Godhead. Madhya 1.178
vrksa-sama—like the tree. Antya 20.22
vrndavana-sama—exactly resembling Vrndavana Madhya 14.119
yuga-sama—like a great millennium Antya 20.40
yara sama nahi ana—there is no comparison to this nectar Madhya 25.279
rg-yajuh-sama-atharva-akhyah—the names of the four Vedas SB 1.4.20
rk-yajuh-sama-atharva—the four Vedas SB 3.12.37
a-sama-avartanat—until the end of the brahmacarya-asrama SB 5.9.4
apanara sama—like You Madhya 3.98
atma-sama—one of His confidential associates. Madhya 22.102
atma-sama—as spiritual as Himself. Antya 4.192
atma-sama—as my relatives. Antya 9.120
atma-sama jnana—the notion of equality Madhya 19.225
atma-sama manon—I considered like my relatives. Antya 9.125